• Brief:
Give back every line below that contains the word "as".

• Material:
'''
Entry from the OMol25 dataset: C16H33ClP2W as an isolated structure at a distorted geometry (ωB97M-V with the def2-TZVPD basis set).

Results
Spin multiplicity ... 3
HOMO level (spin up / spin down) ... -13.9 / -13.9 eV
LUMO level (spin up / spin down) ... -8.170 / -8.703 eV
HOMO-LUMO gap (spin up / spin down) ... 5.734 / 5.200 eV
Charge ... +2

Cartesian coordinates (Å):
1 P 0.2884 -2.6274 -2.0121
2 P -0.7455 2.5654 -1.7563
3 C -0.6763 0.1410 -3.0423
4 C -0.2230 1.5763 -3.2385
5 H -1.7108 0.0223 -2.7256
6 H -0.4548 -0.5218 -3.8807
7 H 0.8578 1.7033 -3.4017
8 H -0.7964 2.0810 -4.0149
9 C -2.4549 2.8695 -2.2058
10 H -2.9623 3.4561 -1.4324
11 H -3.0184 1.9431 -2.3724
12 H -2.4819 3.4496 -3.1434
13 C 0.1655 4.0821 -1.6170
14 H 0.1391 4.6534 -2.5530
15 H 1.2056 3.8912 -1.3313
16 H -0.3017 4.6816 -0.8268
17 C -1.2889 -3.5327 -2.0814
18 H -1.4115 -4.1689 -1.1897
19 H -1.3146 -4.1501 -2.9945
20 H -2.1052 -2.7943 -2.0960
21 C 1.4767 -3.7467 -2.8436
22 H 2.4357 -3.2322 -3.0015
23 H 1.0487 -4.0255 -3.8280
24 H 1.6835 -4.6531 -2.2424
25 W 0.7353 -0.3341 -1.7202
26 C 0.8145 1.6736 -6.0402
27 C -0.5229 1.7898 -6.0834
28 C -1.4736 0.8264 -6.7111
29 C -0.9299 -0.5873 -6.9486
30 C -0.1957 -1.2269 -5.7940
31 C 1.1292 -1.1400 -5.5734
32 C 2.0518 -0.4985 -6.5483
33 C 1.5995 0.8912 -7.0409
34 C 0.6724 -1.0266 0.2417
35 H 1.4270 2.3036 -5.3955
36 H -1.0103 2.7438 -5.8239
37 H -1.8216 1.2425 -7.6736
38 H -2.3681 0.7760 -6.0685
39 H -1.8073 -1.2165 -7.1610
40 H -0.3241 -0.5953 -7.8649
41 H -0.8177 -1.9129 -5.2004
42 H 1.5967 -1.7322 -4.7921
43 H 2.1640 -1.1307 -7.4457
44 H 3.0331 -0.4095 -6.0705
45 H 2.5091 1.4650 -7.2832
46 H 1.0462 0.7913 -7.9879
47 H 1.1399 -0.3205 0.9418
48 H 1.1578 -2.0026 0.3641
49 H -0.3731 -1.1153 0.5605
50 Cl 2.7911 -0.2410 -2.6845
51 C -0.1917 1.2777 -0.6418
52 H 0.5693 1.7193 0.0098
53 H -0.9967 0.9131 0.0099

Results of the Mulliken charge analysis, in e, for atoms 1 through 4: P 0.482; P 0.923; C -0.152; C -0.179



Entry from the OMol25 dataset: a 6-piece molecular cluster, H12O5S2 overall (ωB97M-V with the def2-TZVPD basis set).

Results
Spin multiplicity ... 1
HOMO level ... -9.4 eV
LUMO level ... 0.352 eV
HOMO-LUMO gap ... 9.712 eV
Structure (SMILES) ... SS.O.O.O.O.O
Charge ... 0

Cartesian coordinates (Å):
1 S 0.1341 2.6500 1.8394
2 S 0.9209 0.8454 2.5110
3 H -0.4252 3.0427 2.9905
4 H -0.0142 0.0759 1.9319
5 O -2.3916 0.9350 -0.1929
6 H -1.8875 1.5543 0.3467
7 H -3.1673 0.7486 0.3454
8 O -1.2864 -0.8053 -2.2303
9 H -0.4849 -0.4715 -2.6475
10 H -1.5829 -0.0667 -1.6808
11 O 1.2996 0.7607 -1.2680
12 H 1.8694 0.3290 -0.6129
13 H 1.8551 1.4025 -1.7271
14 O -0.2787 -1.9142 0.0869
15 H -0.9678 -2.4238 0.5188
16 H -0.4078 -2.0276 -0.8765
17 O 2.4174 -1.3290 0.5128
18 H 1.4892 -1.5947 0.3767
19 H 2.9085 -1.7112 -0.2242

Results of the Mulliken charge analysis, in e, for atoms 1 through 4: S -0.241; S -0.118; H 0.175; H 0.139



Entry from the OMol25 dataset: the molecule C3H3N at a distorted geometry (ωB97M-V with the def2-TZVPD basis set).

Results
Spin multiplicity ... 1
HOMO level ... -10.5 eV
LUMO level ... 0.267 eV
HOMO-LUMO gap ... 10.809 eV
Structure (SMILES) ... C=CC#N
Charge ... 0

Cartesian coordinates (Å):
1 C 0.6397 -0.5827 -0.5237
2 C -0.4658 0.1330 -0.2478
3 C -0.5869 0.8410 0.9774
4 N -0.5556 1.3208 2.0421
5 H 0.7386 -1.0828 -1.4824
6 H 1.4787 -0.7452 0.2129
7 H -1.2486 0.1158 -0.9785

Results of the Mulliken charge analysis, in e, for atoms 1 through 4: C -0.566; C -0.233; C 0.352; N -0.373



Entry from the OMol25 dataset: a 8-piece molecular cluster, C14H44O8 overall at a distorted geometry (ωB97M-V with the def2-TZVPD basis set).

Results
Spin multiplicity ... 2
HOMO level (spin up / spin down) ... -11.9 / -11.9 eV
LUMO level (spin up / spin down) ... -2.662 / -9.409 eV
HOMO-LUMO gap (spin up / spin down) ... 9.202 / 2.456 eV
Charge ... +1

Cartesian coordinates (Å):
1 C -15.5018 11.3350 -17.0115
2 C -15.1547 10.2306 -16.1257
3 O -14.8141 10.5852 -14.8340
4 H -14.7102 12.0841 -17.0308
'''

• Done:
Entry from the OMol25 dataset: C16H33ClP2W as an isolated structure at a distorted geometry (ωB97M-V with the def2-TZVPD basis set).